Author (Person) | Cronin, David |
The article is interrupted by materials data
~~~
## Ta2Ni21B6 (meta-GGA r2SCAN)

Data for a relaxed structure of Ta2Ni21B6.

For the spin magnetization, the calculation gives 0.00 μB per formula unit. The formation energy comes out at -30.73 kJ/mol of atoms. As for the electronic total energy: -13.866 eV/atom.

The space group is Fm-3m (No. 225) and the conventional cell measures 10.423, 10.423 and 10.423 Å, with angles of 90.00, 90.00 and 90.00 degrees. The distinct sites, in fractional coordinates, are Ta at (0.250, 0.250, 0.250), Ni at (0.000, 0.000, 0.000), Ni at (0.000, 0.170, 0.170), Ni at (0.116, 0.116, 0.384) and B at (0.000, 0.000, 0.268).

***

## DyAgSn2 (meta-GGA r2SCAN)

Data for a relaxed structure of DyAgSn2.

For the spin magnetization, the calculation gives 0.00 μB per formula unit. The formation energy comes out at -43.03 kJ/mol of atoms. As for the electronic total energy: -26.153 eV/atom.

The space group is P4/mmm (No. 123) and the conventional cell measures 4.620, 4.620 and 4.373 Å, with angles of 90.00, 90.00 and 90.00 degrees. The distinct sites, in fractional coordinates, are Dy at (0.000, 0.000, 0.000), Ag at (0.500, 0.500, 0.000) and Sn at (0.000, 0.500, 0.500).

***

## Hf2OsPd (meta-GGA r2SCAN)

Data for a relaxed structure of Hf2OsPd.

For the spin magnetization, the calculation gives 0.00 μB per formula unit. The formation energy comes out at -71.59 kJ/mol of atoms. As for the electronic total energy: -42.304 eV/atom.

The space group is Fm-3m (No. 225) and the conventional cell measures 6.542, 6.542 and 6.542 Å, with angles of 90.00, 90.00 and 90.00 degrees. The distinct sites, in fractional coordinates, are Hf at (0.250, 0.250, 0.250), Os at (0.000, 0.000, 0.000) and Pd at (0.000, 0.000, 0.500).

***

## BaB2Se6 (meta-GGA r2SCAN)

Data for a relaxed structure of BaB2Se6.

For the spin magnetization, the calculation gives 0.00 μB per formula unit. The formation energy comes out at -65.80 kJ/mol of atoms. As for the electronic total energy: -14.800 eV/atom.

The space group is Cmce (No. 64) and the conventional cell measures 11.374, 7.755 and 10.496 Å, with angles of 90.00, 90.00 and 90.00 degrees. The distinct sites, in fractional coordinates, are Ba at (0.000, 0.000, 0.000), B at (0.114, 0.000, 0.500), Se at (0.000, 0.099, 0.363) and Se at (0.208, 0.185, 0.592).

***

## KO2 (meta-GGA r2SCAN)

Data for a relaxed structure of KO2.

For the spin magnetization, the calculation gives 1.00 μB per formula unit. The calculation puts the polymorph energy (0 for the lowest one) at 56 meV per atom. The formation energy comes out at -86.67 kJ/mol of atoms. As for the electronic total energy: -6.886 eV/atom.

The space group is C2/c (No. 15) and the conventional cell measures 9.481, 4.071 and 7.507 Å, with angles of 90.00, 127.91 and 90.00 degrees. The distinct sites, in fractional coordinates, are K at (0.250, 0.250, 0.000) and O at (0.050, 0.137, 0.550).

***

## CeMg2 (meta-GGA r2SCAN)

Data for a relaxed structure of CeMg2.
~~~
Series Title | European Voice |
Series Details | Vol.8, No.21, 30.5.02, p1 |
(Attached: crystal structures)
(1)
First-principles (PBE) data for an optimized crystal structure of Na4Sn3O8, as listed in Materials Project.

## Properties
Its symmetry is No. 213.

Lattice parameters (Å, degrees): 9.354 9.354 9.354 90.00 90.00 90.00
Sites, in units of the cell vectors:
Na  0.106  0.125  0.856
Na  0.125  0.625  0.875
Na  0.125  0.856  0.106
Na  0.144  0.606  0.375
Na  0.356  0.394  0.875
Na  0.375  0.144  0.606
Na  0.375  0.375  0.375
Na  0.394  0.875  0.356
Na  0.606  0.375  0.144
Na  0.625  0.644  0.894
Na  0.625  0.875  0.125
Na  0.644  0.894  0.625
Na  0.856  0.106  0.125
Na  0.875  0.125  0.625
Na  0.875  0.356  0.394
Na  0.894  0.625  0.644
Sn  0.118  0.368  0.125
Sn  0.125  0.118  0.368
Sn  0.132  0.875  0.618
Sn  0.368  0.125  0.118
Sn  0.375  0.882  0.868
Sn  0.382  0.632  0.625
Sn  0.618  0.132  0.875
Sn  0.625  0.382  0.632
Sn  0.632  0.625  0.382
Sn  0.868  0.375  0.882
Sn  0.875  0.618  0.132
Sn  0.882  0.868  0.375
O  0.091  0.366  0.904
O  0.096  0.591  0.134
O  0.116  0.341  0.346
O  0.119  0.881  0.381
O  0.131  0.131  0.131
O  0.134  0.096  0.591
O  0.154  0.884  0.841
O  0.159  0.654  0.616
O  0.341  0.346  0.116
O  0.346  0.116  0.341
O  0.366  0.904  0.091
O  0.369  0.869  0.631
O  0.381  0.119  0.881
O  0.384  0.659  0.846
O  0.404  0.409  0.634
O  0.409  0.634  0.404
O  0.591  0.134  0.096
O  0.596  0.909  0.866
O  0.616  0.159  0.654
O  0.619  0.619  0.619
O  0.631  0.369  0.869
O  0.634  0.404  0.409
O  0.654  0.616  0.159
O  0.659  0.846  0.384
O  0.841  0.154  0.884
O  0.846  0.384  0.659
O  0.866  0.596  0.909
O  0.869  0.631  0.369
O  0.881  0.381  0.119
O  0.884  0.841  0.154
O  0.904  0.091  0.366
O  0.909  0.866  0.596

***

(2)
First-principles (PBE) data for an optimized crystal structure of PbClO, as listed in Materials Project.

## Properties
Its symmetry is No. 62.

Lattice parameters (Å, degrees): 6.984 3.878 9.190 90.00 90.00 90.00
Sites, in units of the cell vectors:
Pb  0.192  0.250  0.079
Pb  0.308  0.750  0.579
Pb  0.692  0.250  0.421
Pb  0.808  0.750  0.921
Cl  0.026  0.750  0.327
Cl  0.474  0.250  0.827
Cl  0.526  0.750  0.173
Cl  0.974  0.250  0.673
O  0.130  0.750  0.963
O  0.370  0.250  0.463
O  0.630  0.750  0.537
O  0.870  0.250  0.037

***

(3)
First-principles (PBE) data for an optimized crystal structure of TmNiSn2, as listed in Materials Project.

## Properties
Its symmetry is No. 62.

Lattice parameters (Å, degrees): 16.058 4.407 14.536 90.00 90.00 90.00
Sites, in units of the cell vectors:
Tm  0.126  0.250  0.225
Tm  0.146  0.750  0.602
Tm  0.152  0.250  0.974
Tm  0.348  0.750  0.474
Tm  0.354  0.250  0.102
Tm  0.374  0.750  0.725
Tm  0.626  0.250  0.275
Tm  0.646  0.750  0.898
Tm  0.652  0.250  0.526
Tm  0.848  0.750  0.026
Tm  0.854  0.250  0.398
Tm  0.874  0.750  0.775
Ni  0.053  0.750  0.108
Ni  0.192  0.250  0.745
Ni  0.200  0.250  0.454
Ni  0.300  0.750  0.954
Ni  0.308  0.750  0.245
Ni  0.447  0.250  0.608
Ni  0.553  0.750  0.392
Ni  0.692  0.250  0.755
Ni  0.700  0.250  0.046
(So much for the crystal structures)
Publication Date | 30/05/2002 |
Content Type | News |
Date: 30/05/02 By JAVIER Solana has unveiled plans for a slimmed-down Council of Ministers as part of radical reforms to make the European Union less complex and bureaucratic. At present EU government ministers meet in 16 separate configurations of the institution, ranging from trade to transport, according to their national portfolios. Solana, secretary-general of the Council of Ministers, wants to reduce the number of areas covered to 10 by scrapping some and merging others. He has sent a paper outlining his plans to member state capitals. Both he and the Spanish presidency are hoping a deal can be clinched on streamlining the institution's work at the forthcoming summit of EU leaders in Seville (20-21 June). Solana's proposals would, for instance, involve merging the council for finance and economics (Ecofin) with the one for budgets; fisheries would become part of the agriculture council; environment would come under health; and industry would be grouped with research. However, the most controversial aspect of his proposals is that the council for overseas development should be subsumed by the general affairs council, which comprises the foreign ministers from the 15 member states. Anti-poverty activists, who first learned of this idea last weekend, have already started mobilising against it. They believe it would form part of a trend under which the EU is continuously allowing its focus to shift away from the world's poorest countries. A report by British Overseas NGOs for Development (BOND), published on Tuesday (28 May), laments how the EU is gradually giving more to its 'near abroad' in Eastern Europe and the Mediterranean than to Africa, Asia and Latin America. The proportion of EU aid targeting low-income countries fell from 70 in 1990 to 39 in 2000, it states. Dutch aid analyst Mirjam van Reisen, who wrote the report, said the Solana idea is 'smelling of vulgarity'. There is a danger that development advocates will 'look like an orchestra on the Titanic, playing vigorously while the ship sinks', she added. Helen O'Connell, head of policy with UK-based One World Action, said: 'For the EU to be taken seriously as a global player, it needs a stronger voice on international development. 'The proposal to abolish the development council would put it further at the bottom of the external relations agenda.' An EU official said the Solana suggestion would probably be resisted by many of the Union's development ministers, who meet in Brussels today (30 May). He predicted, though, that their colleagues holding the foreign affairs portfolio could back it and that this could prove decisive. There was speculation earlier this week that Solana would discuss his plan with development ministers over lunch. But a spokesman for the Spaniard yesterday confirmed he would be away on a diplomatic mission to the Middle East. Solana had previously presented a paper on making the conduct of EU affairs more efficient to the Barcelona summit in March. Among his recommendations then were that the duration of the Union's rotating presidency should be extended from six months to two-and-a-half years. Javier Solana has unveiled plans for a slimmed-down Council of Ministers as part of radical reforms to make the European Union less complex and bureaucratic. Anti-poverty activists are opposed to the proposal that the Development Council should be merged with the General Affairs Council. |
Subject Categories | Politics and International Relations |